2010 February 23 / j d a v i s @ c a r l e t o n . e d u
You will submit three files — exam2a.txt
, exam2b.py
, and exam2c.py
— electronically, as usual.
This question requires you to experiment a little with the Python interpreter. You must run your experiments on the lab machines in CMC 306. Type your answer in a file exam2a.txt
. (My answer is a few sentences long.)
We have seen that Python has two different notions of integers — small and large:
>>> 2**21 2097152 >>> 2**100 1267650600228229401496703205376L
Determine the power of 2 at which Python switches from small integers to large integers. Explain precisely why Python switches at that power of 2, rather than at some other power of 2.
The following images display a certain fractal at four different levels of detail: 0, 1, 2, and 3. The fractal is made up of squares. To get from one level to the next, we subdivide each square into five squares in a sort of checkerboard pattern.
In a file exam2b.py
, write a function to draw this fractal. Your function must use recursion in a meaningful way, and its definition must begin as follows.
def drawSquareFractal(t, length, detail): """Takes as input a Turtle t, a float length, and a nonnegative integer detail. Uses the turtle to draw the square fractal of the given level of detail, with the given overall side length."""
For example, the four images above were produced using using four different calls to drawSquareFractal()
, with details of 0, 1, 2, and 3, all with length 100.0. Don't forget to employ comments, docstrings, good Python style, etc.
In this question we will write a function that "reads" text from images. That is, the function takes in an image and outputs the string of text that is pictured in the image. Such systems are used heavily in industry; for example, the U.S. Postal Service sorts mail using computers that automatically recognize the addresses written on envelopes.
Download these two image files: short.gif
and long.gif
. These are pictures of text. The long one is more interesting than the short one, but while you are debugging your program you may prefer to work with the short one for the sake of speed. Also download these 26 image files: A.gif
, B.gif
, C.gif
, D.gif
, E.gif
, F.gif
, G.gif
, H.gif
, I.gif
, J.gif
, K.gif
, L.gif
, M.gif
, N.gif
, O.gif
, P.gif
, Q.gif
**Calculated molecules that have nothing to do with the page:**
____________
(1)
Below is 2 unconnected molecules or ions with the total composition C21H22IO6 in a non-equilibrium geometry, with properties calculated with ωB97M-V with the def2-TZVPD basis set.

Geometry as ORCA input:
```
! wB97M-V def2-TZVPD RIJCOSX def2/J DEFGRID3
* xyz 1 1
I 1.00997 -0.84326 -1.10948
O 3.45144 1.73413 1.22272
O -3.30814 -2.11879 -4.24016
O 3.34699 -0.45587 0.90640
O 2.04702 3.20025 0.03860
O 1.36650 2.26610 -1.87790
O -1.28062 1.18786 0.84337
C 1.97473 -3.28328 0.37049
C -3.31296 -1.34284 -1.92594
C -3.00455 -1.18376 -3.29906
C -1.81700 0.49121 -1.38816
C -1.64417 0.73623 -2.77603
C 1.43285 -3.99269 2.62070
C 1.65803 2.87479 2.43190
C -1.05920 1.28584 -0.44558
C 2.79159 0.61621 0.76892
C 0.24151 -2.11697 1.62065
C 0.44835 -3.00062 2.69715
C -1.87219 2.27898 1.56756
C 2.68564 2.95422 1.32602
C -2.27001 -0.04033 -3.71643
C -2.69646 -0.53974 -0.98779
C 3.74225 4.04389 1.53270
C 1.03338 -2.26430 0.48838
C -3.94944 -3.34329 -3.80621
C 2.19105 -4.14553 1.45085
C 1.50269 0.83767 0.04194
C 1.64580 2.10787 -0.69872
H -0.50536 -1.32650 1.67252
H -1.07637 2.94331 1.91551
H 2.12125 2.50386 3.35474
H -3.83966 -4.03083 -4.64200
H 0.82721 2.21346 2.16004
H -2.17430 0.15455 -4.78242
H -4.00368 -2.12646 -1.60040
H 4.30786 4.15953 0.60394
H -2.36282 1.80884 2.42138
H -2.57783 2.83615 0.93636
H 2.95382 -4.92284 1.37245
H 4.42154 3.73423 2.32919
H -5.01182 -3.15463 -3.61519
H 1.61670 -4.65407 3.47361
H -2.91332 -0.68448 0.07007
H -0.16187 -2.89962 3.59568
H 3.27477 4.99316 1.79752
H 1.26479 3.88063 2.62919
H 2.55268 -3.37645 -0.54641
H -3.46580 -3.76325 -2.91712
H -0.98866 1.55825 -3.06271
H -0.61417 2.20918 -0.82282
*
```

## Properties
* Kohn-Sham gap: 6.3 eV
* energy relative to the best compared isomer or geometry (same formula, charge and spin): 129.8 kJ/mol

Löwdin atomic charge list, values in e, 2 entries: 1.818, 0.071

=====

(2)
Below is C21H22N2O2S in the gas phase, with properties calculated with ωB97M-V with the def2-TZVPD basis set.

Geometry as ORCA input:
```
! wB97M-V def2-TZVPD RIJCOSX def2/J DEFGRID3
* xyz 0 1
S 1.70809 2.84081 -0.81193
O -5.82008 -0.03857 0.69701
O -0.00610 2.26895 1.41712
N 2.97186 -1.29650 0.29117
N 1.37424 0.25980 -0.46074
C -2.51597 1.07454 1.59423
C 0.76327 -2.08630 -0.30232
C 1.15108 -3.29809 0.54346
C -4.11119 1.03391 -0.66865
C -0.06717 2.51027 -0.95728
C -4.59528 0.50928 0.52876
C 3.58165 1.02742 0.04823
C -6.69798 -0.10401 -0.40281
C 4.56065 2.02559 0.15401
C -3.77779 0.53978 1.66422
C 5.81842 1.69941 0.58611
C -0.63162 -1.59661 0.08898
C 0.77945 -2.46372 -1.79055
C 1.77735 -0.98056 -0.12242
C -0.64227 2.12867 0.39938
C 2.24232 1.23295 -0.37287
C -2.01581 1.59051 0.39282
C 5.19446 -0.61772 0.83141
C -2.83711 1.56445 -0.73182
C 6.13255 0.37467 0.92434
C 3.89302 -0.31464 0.38898
H 6.57734 2.46273 0.67222
H 1.14107 -3.03892 1.59894
H -0.20367 1.71044 -1.68289
H -0.52008 3.43491 -1.31642
H -6.28038 -0.70848 -1.21383
H -6.94425 0.89357 -0.77943
H -7.60259 -0.58011 -0.02840
H -0.93923 -0.77147 -0.54652
____________
**So much for the calculated molecules:**
, R.gif
, S.gif
, T.gif
, U.gif
, V.gif
, W.gif
, X.gif
, Y.gif
, Z.gif
. These are 7x9 pictures of the 26 uppercase English letters, in the same font as the other text images.
For the sake of speed, you will want to convert each of the 26 letter images into a more convenient format — namely, a grid of integers. Let's give a name to such a grid; let's call it a glyph. That is, a glyph is a tuple of seven tuples, each containing nine integers between 0 and 255.
In exam2c.py
, write a function to load letter images into glyphs, like this:
def glyph(image): """Given a grayscale image, returns the corresponding glyph."""
Also write a function like this:
def text(image, glyphs, threshold): """Given a grayscale image, a list of 26 glyphs corresponding to the 26 uppercase English letters (in order), and a threshold value, returns the string of text that is pictured in the image."""
I recommend the following strategy. A glyph is essentially a 7x9 kernel. Scan through all of the interior pixels in the image (where "interior" is suitably defined). For each interior pixel, compare the 7x9 block of pixels around it to each glyph. If the pixels match any glyph well (as defined by the threshold), then figure out which glyph is matched best; that character belongs in your result string.
Don't forget to employ comments, docstrings, good Python style, etc. Your demo code should load the 26 image files into glyphs and use them to recognize the text in long.gif